After twenty days in Japan, I am far from an expert on the beautiful and unique Asian country, but I visited long enough to experience quite a spectrum of cultural differences that compare directly with life in the U.S. I’ve been readjusting to the dramatically less stimulating life on the east coast (compared to Tokyo), but I find myself longing for many of the wonderful aspects of Japan. Here are the things I realize I can’t live without…
Toilets A Plenty
They really have perfected the bathroom experience in Japan, and while I’ve seen the mechanized toilets before in the States, it was the first time I had ever tried the butt gadget. From white-noise privacy sounds to rear washers and dryers, I don’t know how I lived without a heated toilet seat before now. And the best part? They even have these luxury toilets in shopping malls and airport bathrooms! In fact, during our stay, I enjoyed exploring public restrooms in general and was delighted by their cleanliness and practicality. Some had changing rooms (complete with clean footstools so you could take your shoes off), others had beauty tables and lights, every single one had places to put purses or bags, and most had options for parents with a small seat in which to stash your baby! The entire bathroom experience felt wonderful, and the facilities are a real place to refresh yourself. Personally, I’m feeling lost without the love of a Toto Washlet.
How Fast Do Your Trains Go?
It’s a breeze to travel up and down the length of Japan because of their exceptional high-speed train system (called the Shinkansen). These amazingly fast trains (200 MPH) get you around the country with ease. The seats are large, recline way back, and even have plugs in the armrests for you to recharge your devices. And get this! The stewardesses bring around towels for you to clean your hands upon arrival. Not only was it clean and comfortable, but it felt incredibly civilized. Beats the Acela Express by 200 miles.
A Subway I Could Make Home
I loathe subway travel in Manhattan. Between the layers of grit and grime on every surface, to the wacky guy hanging out in your car, these are the sights and smells that I’d just rather not experience in New York City. But in Tokyo, it was a delight to travel by subway. The lines spread throughout the sprawling city, and all were well marked, abnormally clean, and the people were quiet and respectful. Trains ran regularly and were always on time – so much so that they could tell you the exact time it would take you to get to your desired station. Attendants were helpful, and even at rush hour, when you’re crammed into a car, it wasn’t too bad. Also much like Montreal, there are many tunnels and walkways to the nearby buildings at each station, so every exit was marked (and numbered) to save you time finding where to go. My only qualm was due to the number of subway lines you had to ride several escalators to come out from underground. However, it was good exercise!
Maintenance is Key
The Japanese practice a way of life called Kaizen, making continuous improvements through small incremental changes. This was exhibited throughout the country in many ways, but it was most obvious in the maintenance of public spaces. As Jon and I waited to board the Shinkansen from Tokyo, I watched a team of cleaners in pressed uniforms hop on the train and begin vacuuming and tidying. Each worker was responsible for a different section and took the job seriously. From a watch hanging from their pocket to monitor the time to a mirror extended to view the overhead bin, the practice of taking care of things has paid off for the longevity and cleanliness of the trains. In the subway, I saw clever ways to siphon off ventilation condensation so it wouldn’t drop on people’s heads. Once when we swiped into a station, I witnessed a man vacuuming inside the ticket machine. And in the evening I spotted a woman on a business district sidewalk on her hands and knees with a spotlight positioned towards the ground. She was using a pallet knife to remove a piece of gum. As you can imagine, it took me a few moments to lift my jaw off the floor. Even in the mountains of Gero, after a rainstorm, I saw a driver wipe off his windshield wipers (might I add that his vehicle was already pristine). This practice of Kaizen, not only increases the longevity of everything, but it shows deep respect for the objects you use and the things that give you a living. When the train cleaners exited the cars with a final check, they turned and bowed to the vehicle, saying thank you to this object that essentially employs them. It’s beautiful to see jobs that are important and dignified at every level of the workforce and that serve a greater purpose of maintaining the country’s infrastructure.
Public Safety
Japan is the safest place I’ve ever visited. With half the number of people as the U.S., it is seriously surprising how they maintain such order with a huge population. I think a lot of it comes from the people themselves. With solid gun laws, respectable jobs at every economic level, and strong community ties, everyone chips in to help maintain order and safety.
No Plot Unused
One of the loveliest things I witnessed was people’s constant use of even the tiniest plot of land. Whether it inhabited potted plants or a few vegetables, the locals found uses for small natural spaces. Land that was adjacent to a home could be used for growing rice, vegetables or flowers and if they so desired, could be landscaped into rock gardens or exceptional outdoor spaces. If there was five feet to grow something, it would have plants. Meanwhile, the layout of neighborhoods were nestled into forests, and builders would often respect a beautiful grove or elderly tree, leaving it be. This all goes back to a general respect of nature in the Japanese culture.
A Job Well Done
I have never seen someone make a pizza like the chef at Pizza Studio Tamaki. Wiry thin muscles, laser focus, and an intensity about finding the perfect proximity to the heat in the wood fire oven made it easily one of the best pizzas I’ve ever tasted. Sitting at the bar and watching a master at work, was just one of the many pleasures of visiting Japan. I liked people’s work ethic, and I liked how they pushed themselves to be the best at what they chose to do.
Fruity Gifts
What do you do with a $300 melon? Well, you eat it of course! The habit of sending perfect looking (and tasting) fruit is a lovely tradition in Japan and a better gift than most things. I can vouch for the $100 Shine Muscat grapes – not only were they perfect looking, but they were also the best tasting grapes I’ve ever had in my life (here’s proof from Youtube). Definitely a sweet treat for a special occasion and way more healthy than a bottle of wine or box of candy.
Unrelated to this entry: materials data
=====
1.
# RbTi2InCo

A relaxed RbTi2InCo crystal (PBE-GGA, the Alexandria database).

Cell: 5.189 5.189 6.298 Å, 90.00 90.00 90.00°
Sites, in units of the cell vectors:
Rb (0.000, 0.000, 0.000)
Ti (0.000, 0.500, 0.500)
Ti (0.500, 0.000, 0.500)
In (0.000, 0.000, 0.500)
Co (0.500, 0.500, 0.000)

* calculated density: 3.5 g/cm³
* calculated volume: 169.6 Å³/cell
* density of states at the Fermi level: 1.56 states/eV/atom
* energy of formation: 1.76 eV/atom

2.
# RbTlIn2Co

A relaxed RbTlIn2Co crystal (PBE-GGA, the Alexandria database).

Cell: 5.119 5.119 5.230 Å, 90.00 90.00 90.00°
Sites, in units of the cell vectors:
Rb (0.000, 0.000, 0.000)
Tl (0.500, 0.500, 0.000)
In (0.000, 0.500, 0.500)
In (0.500, 0.000, 0.500)
Co (0.500, 0.500, 0.500)

* calculated density: 7.0 g/cm³
* calculated volume: 137.1 Å³/cell
* density of states at the Fermi level: 0.68 states/eV/atom
* energy of formation: 0.03 eV/atom

3.
# RbTl2InCo

A relaxed RbTl2InCo crystal (PBE-GGA, the Alexandria database).

Cell: 5.240 5.240 5.129 Å, 90.00 90.00 90.00°
Sites, in units of the cell vectors:
Rb (0.000, 0.000, 0.000)
Tl (0.000, 0.500, 0.500)
Tl (0.500, 0.000, 0.500)
In (0.500, 0.500, 0.000)
Co (0.500, 0.500, 0.500)

* calculated density: 7.9 g/cm³
* calculated volume: 140.8 Å³/cell
* density of states at the Fermi level: 0.66 states/eV/atom
* energy of formation: 0.07 eV/atom

4.
# RbZn2InCo

A relaxed RbZn2InCo crystal (PBE-GGA, the Alexandria database).

Cell: 4.890 4.890 4.973 Å, 90.00 90.00 90.00°
Sites, in units of the cell vectors:
Rb (0.000, 0.000, 0.000)
Zn (0.000, 0.500, 0.500)
Zn (0.500, 0.000, 0.500)
In (0.500, 0.500, 0.000)
Co (0.500, 0.500, 0.500)

* calculated density: 5.4 g/cm³
* calculated volume: 118.9 Å³/cell
* density of states at the Fermi level: 0.38 states/eV/atom
* energy of formation: 0.09 eV/atom

5.
# In2CoRe

A relaxed In2CoRe crystal (PBE-GGA, the Alexandria database).

Cell: 8.936 8.936 8.936 Å, 19.22 19.22 19.22°
Sites, in units of the cell vectors:
In (0.245, 0.245, 0.245)
In (0.755, 0.755, 0.755)
Co (0.500, 0.500, 0.500)
Re (0.000, 0.000, 0.000)

* calculated density: 11.7 g/cm³
* calculated volume: 67.6 Å³/cell
* relative energy among the computed polymorphs: 21.96 kJ per mole of atoms
* density of states at the Fermi level: 1.10 states/eV/atom
* energy of formation: 0.53 eV/atom

6.
# InCo2Re

A relaxed InCo2Re crystal (PBE-GGA, the Alexandria database).

Cell: 5.529 5.529 5.529 Å, 104.10 104.10 120.85°
Sites, in units of the cell vectors:
In (0.000, 0.000, 0.000)
In (0.750, 0.250, 0.500)
Co (0.165, 0.625, 0.040)
Co (0.375, 0.415, 0.540)
Co (0.585, 0.125, 0.960)
Co (0.875, 0.835, 0.460)
=====
So much for the materials data
Bathing Culture
Give me a hot tub, and I’ll be your friend forever – just one of the many reasons I fell in love with Japan. Every hotel had a sprawling bathtub because the bathing culture is alive and well. From porcelain to wood, and natural stone I took a bath nearly every evening during our stay. It was lovely, but also absolutely necessary given how far we walked and how achy our legs were. If you watched my stories on Instagram, you got to witness the views from a bath in Tokyo and the steamy retreat of the natural springs in Gero Onsen. I was in hot water heaven.
Not Trashy
People clean up after themselves, and with a team of maintenance workers, the cities and towns are kept exceptionally tidy. It was so contagious that I even found myself picking up any bit of trash around Tokyo. Let’s keep the planet clean, people!
Travel inherently changes you and it was a delight to discover these unique characteristics that make Japan a truly wonderful place to visit. While I had my fill of soy sauce and gyoza, I know I will always long for all these elements of Japanese culture. Though I can’t convince the entire United States to have better toilets, I’ve already started implementing the things I love about Japan into my daily life. You might find me quietly bowing to my computer, painting forgotten hallways scuffs, and I just might be looking for a little land to cultivate my own zen garden.
What cultural behaviors or conveniences would you import from other countries? Share with me in the comments below!